To create a Multi-Region Access Point in Amazon S3, you do the following:
Specify the name for the Multi-Region Access Point.
Choose one bucket in each AWS Region that you want to serve requests for the Multi-Region Access Point.
Configure the Amazon S3 Block Public Access settings for the Multi-Region Access Point.
You provide all of this information in a create request, which Amazon S3 processes asynchronously. Amazon S3 provides a token that you can use to monitor the status of the asynchronous creation request.
Make sure to resolve security warnings, errors, general warnings, and suggestions from AWS Identity and Access Management Access Analyzer before you save your policy. IAM Access Analyzer runs policy checks to validate your policy against IAM policy grammar and best practices. These checks generate findings and provide actionable recommendations to help you author policies that are functional and conform to security best practices. To learn more about validating policies using IAM Access Analyzer, see IAM Access Analyzer policy validation in the IAM User Guide. To view a list of the warnings, errors, and suggestions that are returned by IAM Access Analyzer, see IAM Access Analyzer policy check reference.
When you use the API, the request to create a Multi-Region Access Point is asynchronous. When you submit a request to create a Multi-Region Access Point, Amazon S3 synchronously authorizes the request. It then immediately returns a token that you can use to track the progress of the creation request. For more information about tracking asynchronous requests to create and manage Multi-Region Access Points, see Using Multi-Region Access Points with supported API operations.
After you create the Multi-Region Access Point, you can create an access control policy for it. Each Multi-Region Access Point can have an associated policy. A Multi-Region Access Point policy is a resource-based policy that you can use to limit the use of the Multi-Region Access Point by resource, user, or other conditions.
## Between two parts of the article: calculated crystals
<<<
For Mg2MnSbO6, a crystal structure in the Materials Project, relaxed with GGA+U gives the simulated powder X-ray diffraction pattern in this record (Cu Kα (λ = 1.5418 Å)).
Kinematic intensities with the Lorentz-polarization factor, no thermal factor.

Cell and atoms:
```
data_Mg2MnSbO6
_cell_length_a 5.3131
_cell_length_b 7.5564
_cell_length_c 5.4074
_cell_angle_alpha 90.00
_cell_angle_beta 94.65
_cell_angle_gamma 90.00
_space_group_name_H-M_alt 'P 1 21/m 1'
_space_group_IT_number 11
_space_group_name_Hall '-P 2yb'
loop_
_atom_site_label
_atom_site_type_symbol
_atom_site_fract_x
_atom_site_fract_y
_atom_site_fract_z
_atom_site_occupancy
Mg1 Mg 0.0279 0.2500 0.0698 1
Mg2 Mg 0.4672 0.7500 0.4731 1
Mn1 Mn 0.0000 0.0000 0.5000 1
Sb1 Sb 0.5000 0.0000 0.0000 1
O1 O 0.1094 0.7500 0.5746 1
O2 O 0.1695 0.0645 0.8206 1
O3 O 0.3419 0.0713 0.3015 1
O4 O 0.3646 0.7500 0.0816 1
```

Peak list (6 most intense, 15° ≤ 2θ ≤ 90°, by intensity)
two_theta  d [Å]  Rel. int.
32.84  2.727  100.0
34.24  2.619  79.4
22.56  3.941  57.9
23.55  3.778  54.5
24.50  3.633  53.8
33.85  2.648  43.2

=====

[1]
The following is a simulated powder XRD pattern of Er4Ga16Fe3. It was derived from a crystal structure in Alexandria, relaxed with GGA-PBE, using copper Kα.

Top 10 peaks for 2θ from 10° to 90°, in order of rising 2θ:
2θ/deg  I (rel.)
20.93  20
32.04  24
33.93  58
38.58  100
40.51  30
42.60  70
44.39  16
60.24  34
61.83  22
75.28  37

```
Er4Ga16Fe3
1.0
6.002 0.000 0.000
0.000 6.002 0.000
0.000 0.000 11.134
Er Ga Fe
4 16 3
direct
0.000 0.500 0.194
0.000 0.500 0.806
0.500 0.000 0.194
0.500 0.000 0.806
0.000 0.000 0.199
0.000 0.000 0.801
0.219 0.219 0.000
0.219 0.781 0.000
0.251 0.251 0.385
0.251 0.251 0.615
0.251 0.749 0.385
0.251 0.749 0.615
0.500 0.500 0.216
0.500 0.500 0.784
0.749 0.251 0.385
0.749 0.251 0.615
0.749 0.749 0.385
0.749 0.749 0.615
0.781 0.219 0.000
0.781 0.781 0.000
0.000 0.500 0.500
0.500 0.000 0.500
0.500 0.500 0.000
```

[2]
The following is a simulated powder XRD pattern of PuSi2Pd5. It was derived from a crystal structure in Alexandria, relaxed with GGA-PBE, using copper Kα.

Top 10 peaks for 2θ from 10° to 90°, in order of rising 2θ:
2θ/deg  I (rel.)
26.14  16
30.23  18
31.17  37
35.47  100
36.00  93
39.20  15
45.11  39
46.73  27
56.62  16
66.97  24

```
PuSi2Pd5
1.0
-1.944 3.547 4.879
1.944 -3.547 4.879
1.944 3.547 -4.879
Pu Si Pd
1 2 5
direct
0.000 0.000 0.000
0.254 0.754 0.500
0.746 0.246 0.500
0.153 0.349 0.804
0.454 0.651 0.804
0.500 0.000 0.500
0.546 0.349 0.196
0.847 0.651 0.196
```

[3]
The following is a simulated powder XRD pattern of Ho4AsP3. It was derived from a crystal structure in Alexandria, relaxed with GGA-PBE, using copper Kα.

Top 10 peaks for 2θ from 10° to 90°, in order of rising 2θ:
2θ/deg  I (rel.)
27.20  65
31.51  100
45.16  73
53.52  32
56.11  26
65.78  12
72.57  13
74.77  33
83.38  25
89.73  10

```
Ho4AsP3
1.0
4.016 -5.677 0.000
4.016 5.677 0.000
0.000 0.000 4.015
Ho As P
4 1 3
direct
0.245 0.245 0.500
0.248 0.752 0.000
>>>
For an application or user to be able to access an object through a Multi-Region Access Point, both of the following policies must permit the request:
The access policy for the Multi-Region Access Point
The access policy for the underlying bucket that contains the object
When the two policies are different, the more restrictive policy takes precedence.
To simplify permissions management for Multi-Region Access Points, you can delegate access control from the bucket to the Multi-Region Access Point. For more information, see Multi-Region Access Point policy examples.
Using a bucket with a Multi-Region Access Point doesn't change the bucket's behavior when the bucket is accessed through the existing bucket name or an Amazon Resource Name (ARN). All existing operations against the bucket continue to work as before. Restrictions that you include in a Multi-Region Access Point policy apply only to requests that are made through the Multi-Region Access Point.
You can update the policy for a Multi-Region Access Point after creating it, but you can't delete the policy. However, you can update the Multi-Region Access Point policy to deny all permissions.